What to do:
Say how many lines of the rows further below hold the word "an", as a bare number.
Source:
'''
# 1
The following is a PBE calculation of an optimized crystal structure of SrMg2Mn, from the Alexandria database.

Geometry as POSCAR:
```
SrMg2Mn
1.0
3.6221 0.0000 0.0000
0.0000 3.6221 0.0000
0.0000 0.0000 8.0454
Sr Mg Mn
1 2 1
direct
0.0000 0.0000 0.0000
0.0000 0.0000 0.5582
0.5000 0.5000 0.3327
0.5000 0.5000 0.7173
```

Properties
**Energy of formation from the pure elements**: 0.2712 eV/atom



# 2
The following is a PBE calculation of an optimized crystal structure of SrMg2Mn, from the Alexandria database.

Geometry as POSCAR:
```
SrMg2Mn
1.0
4.7177 0.0000 0.0000
0.0000 4.7177 0.0000
0.0000 0.0000 4.8991
Sr Mg Mn
1 2 1
direct
0.0000 0.0000 0.0000
0.0000 0.5000 0.5000
0.5000 0.0000 0.5000
0.5000 0.5000 0.0000
```

Properties
**Energy of formation from the pure elements**: 0.3513 eV/atom



# 3
The following is a PBE calculation of an optimized crystal structure of SrMg2Mn, from the Alexandria database.

Geometry as POSCAR:
```
SrMg2Mn
1.0
4.6246 0.0000 0.0000
0.0000 4.6246 0.0000
0.0000 0.0000 22.0562
Sr Mg Mn
4 8 4
direct
0.0000 0.0000 0.0000
0.0000 0.5000 0.2500
0.5000 0.0000 0.7500
0.5000 0.5000 0.5000
0.1984 0.2500 0.6250
0.2500 0.6984 0.8750
0.2500 0.8016 0.3750
0.3016 0.2500 0.1250
0.6984 0.7500 0.1250
0.7500 0.1984 0.3750
0.7500 0.3016 0.8750
0.8016 0.7500 0.6250
0.0000 0.0000 0.5000
0.0000 0.5000 0.7500
0.5000 0.0000 0.2500
0.5000 0.5000 0.0000
```

Properties
**Energy of formation from the pure elements**: 0.5400 eV/atom



# 4
The following is a PBE calculation of an optimized crystal structure of SrMgMn3, from the Alexandria database.

Geometry as POSCAR:
```
SrMgMn3
1.0
5.2512 0.0000 0.0000
0.0000 5.2512 0.0000
0.0000 0.0000 5.2512
Sr Mg Mn
1 1 3
direct
0.0000 0.0000 0.0000
0.5000 0.5000 0.5000
0.0000 0.0000 0.5000
0.0000 0.5000 0.0000
0.5000 0.0000 0.0000
```

Properties
**Excess energy over the best structure of this formula in the dataset**: 4.05 eV per formula unit
**Energy of formation from the pure elements**: 1.8005 eV/atom



# 5
The following is a PBE calculation of an optimized crystal structure of SrMg4Mn, from the Alexandria database.

Geometry as POSCAR:
```
SrMg4Mn
1.0
0.0000 4.2464 4.2464
4.2464 0.0000 4.2464
4.2464 4.2464 0.0000
Sr Mg Mn
1 4 1
direct
0.0000 0.0000 0.0000
0.1287 0.6238 0.6238
0.6238 0.1287 0.6238
0.6238 0.6238 0.1287
0.6238 0.6238 0.6238
0.2500 0.2500 0.2500
```

Properties
**Energy of formation from the pure elements**: 0.2138 eV/atom



# 6
The following is a PBE calculation of an optimized crystal structure of SrMg2Mn, from the Alexandria database.

Geometry as POSCAR:
```
SrMg2Mn
1.0
6.3890 0.0000 0.0000
0.0000 10.8573 0.0000
-1.0962 0.0000 3.0974
Sr Mg Mn
2 4 2
direct
0.0000 0.0000 0.0000
0.5000 0.5000 0.0000
0.2500 0.2500 0.5000
0.2500 0.7500 0.5000
0.7500 0.2500 0.5000
0.7500 0.7500 0.5000
0.0000 0.5000 0.0000
0.5000 0.0000 0.0000
```

Properties
**Energy of formation from the pure elements**: 0.4458 eV/atom



# 7
The following is a PBE calculation of an optimized crystal structure of SrMg2Mn, from the Alexandria database.

Geometry as POSCAR:
```
SrMg2Mn
1.0
3.4472 0.0000 0.0000
-1.7236 2.9854 0.0000
0.0000 0.0000 30.9916
Sr Mg Mn
3 6 3
direct
0.0000 0.0000 0.0000
0.3333 0.6667 0.6667
0.6667 0.3333 0.3333
0.0000 0.0000 0.2360
0.0000 0.0000 0.7640
0.3333 0.6667 0.4306
0.3333 0.6667 0.9027
0.6667 0.3333 0.0973
0.6667 0.3333 0.5694
0.0000 0.0000 0.5000
0.3333 0.6667 0.1667
0.6667 0.3333 0.8333
```

Properties
**Energy of formation from the pure elements**: 0.4522 eV/atom



# 8
The following is a PBE calculation of an optimized crystal structure of SrMgMn3, from the Alexandria database.

Geometry as POSCAR:
```
SrMgMn3
1.0
5.0258 0.0000 0.0000
0.0000 5.0258 0.0000
0.0000 0.0000 5.0258
Sr Mg Mn
1 1 3
direct
0.0000 0.0000 0.0000
0.5000 0.5000 0.5000
0.0000 0.5000 0.5000
0.5000 0.0000 0.5000
0.5000 0.5000 0.0000
```

Properties
**Excess energy over the best structure of this formula in the dataset**: 0.00 eV per formula unit
'''
Completed:
8